Point 1 – Markets are Complex and Therefore Unpredictable
== Misplaced records of molecules ==
A structure of composition C37H47BrMnN7PS2. Source: the OMol25 dataset; level of theory: wB97M-V/def2-TZVPD.

Element x y z (Å)
N -0.1546 -0.7414 1.5661
H -0.3690 -2.1078 -4.6384
H 4.1433 3.5023 0.7525
H 5.4896 -1.4190 -2.3707
H 3.9890 -1.0087 2.7529
C -0.6530 -3.9235 -0.3241
C 3.7047 -0.5519 -1.5843
H -2.9017 1.7035 -1.6243
H 4.9515 2.2099 -2.6274
C -4.9860 -0.6995 1.0644
H 5.6663 0.8035 2.4153
N -0.8472 2.4149 0.1802
C -0.0851 -0.2270 2.7910
C -0.4814 -2.5021 0.0121
H 3.8687 0.6523 -3.4027
H 2.3849 3.3582 0.6651
C 4.8368 2.6933 -1.6611
H 5.5975 -1.1451 -0.6442
C -4.4498 -1.1920 -0.1138
H -2.1274 6.5758 -0.9629
C -0.4299 -2.0495 1.4094
H 0.1389 0.8297 2.8620
H -1.0461 -7.6838 -1.1344
H -5.9725 -0.9977 1.3923
C -0.7045 -2.8587 2.5019
H 1.3764 2.5379 -1.8482
H -2.3491 -3.6479 -1.6236
Mn -0.2578 0.3026 -0.1948
H 3.6542 -2.4722 -0.5307
H 5.6229 2.3395 -0.9981
H 1.9789 1.3980 2.1006
H 2.2252 0.0751 -3.0769
C 5.2288 -0.7186 -1.5736
C 0.0800 -6.2087 -0.0598
H 4.3665 -1.5377 1.1267
H -4.6083 0.6307 2.7121
C 3.7080 -0.8965 1.7039
C 0.2151 -4.8635 0.2379
H 0.6304 2.7900 1.6088
Br -5.4034 -2.3834 -1.2112
H -0.9836 -3.8898 2.3459
N -0.3710 -1.5471 -0.8696
C 5.3143 1.0056 1.4007
H 1.0227 -4.5373 0.8828
C -2.7108 2.7551 -1.4857
C 3.2866 3.5279 0.0830
C -1.6620 -4.3579 -1.1847
C -3.4566 3.6894 -2.1699
C -1.7122 3.1927 -0.6113
H -2.3633 1.2586 1.8956
H 2.9439 -2.4943 -2.1328
C -4.2252 0.1973 1.7990
H 3.2346 4.5345 -0.3350
C -1.5347 4.5712 -0.4291
C -3.2406 5.0628 -2.0022
H -0.2149 -0.5255 4.9042
N -0.4143 -1.1549 -4.3166
H -0.8379 -2.9351 4.6429
H 3.4689 -1.0323 -3.6585
C -0.9354 -6.6327 -0.9047
H 5.9564 0.4574 0.7192
N -0.3973 -1.8980 -2.1730
C 3.8447 0.5838 1.3222
H 3.3862 2.4243 2.4295
C -3.1802 -0.7977 -0.4985
H 2.3328 3.9682 -2.2415
H 2.6059 2.4672 -3.1085
H 2.6793 -1.2472 1.5911
H 5.4501 2.0700 1.2240
C -0.6328 -2.3194 3.7776
C -2.2844 5.5178 -1.1224
H 2.0628 -1.7720 -0.7968
C -1.8086 -5.7055 -1.4595
C -0.2984 -0.9829 3.9289
C 3.4294 2.5286 -1.0739
C -2.9653 0.5444 1.3507
H -0.3922 -0.4054 -4.9853
C 3.0498 -1.8963 -1.2264
H -2.7616 -1.1565 -1.4305
H 5.0043 3.7617 -1.8167
H -3.8352 5.7723 -2.5606
H 5.7576 0.2097 -1.7734
H -2.6029 -6.0326 -2.1166
P 3.0738 0.7954 -0.3987
C 3.2821 -0.1732 -3.0109
C 2.3700 2.8826 -2.1333
N 1.4739 0.6799 -0.1548
C 3.0381 1.3982 2.3495
H -4.2264 3.3520 -2.8503
N -2.4373 0.0397 0.2304
S -0.3106 4.8613 0.7631
C -0.0988 3.1832 0.9152
C -0.4091 -0.8925 -3.0064
H 3.1548 0.9383 3.3327
H 0.7657 -6.9264 0.3695
S -0.3977 0.7728 -2.5068

Computed properties:
Total energy = -6683.7167 Eh
2S+1 = 4
Energy relative to the best compared isomer or geometry (same formula, charge and spin) = 0.0000 eV
Largest force on an atom = 1.42 eV/A
E_LUMO (spin up / spin down) = -6.39 / -6.33 eV
Gap between HOMO and LUMO (spin up / spin down) = 0.2547 / 0.2548 Eh
Highest occupied orbital energy (spin up / spin down) = -13.3 / -13.3 eV
Total charge = +2



An isolated molecule of C3H7NO. Source: the OMol25 dataset; level of theory: wB97M-V/def2-TZVPD.
Markets are not complicated but instead extremely complex. This is an important distinction and one that should not to be taken lightly or skimmed over. The state of a complicated system is predictable far into the future if enough computational resources are applied to generate the forecast. This differs with a complex system, the state of which cannot be accurately predicted far into the future, regardless of your computational resources. As an example, think about predicting who the president of the United States will be in the year 2070. There is absolutely no way to accurately do this. The person who will be president of the US in the year 2070 might not have been born yet. You don't know if the position of president will still exist in the year 2070 and you don't know if the United States will still be a country. There are simply too many variables that are subject to change to make any meaningful prediction possible. And to make things worse, there are variables that don't currently exist but might be of the utmost importance in deciding who the president will be in 2070. For these very same reasons, it would be foolish to try to predict the state of the US stock market or the price of the British Pound even one year into the future. Charlatans sometimes make these types of predictions but are always wrong in at least one dimension of their predictions.
A Sidenote on Forecasting
There are three dimensions that should be addressed with any financial forecast. Dimension one is direction; will the instrument rise, fall or remain flat? Dimension two is time; when will the event begin and when will the event end? Dimension three is magnitude; what is the size of the movement in percentage terms? If a forecaster does not address all three of these dimensions, they are not making a meaningful prediction.
Point 2 – Geopolitics and Intra-National Legislation are the Biggest Contributors to Market Complexity
The biggest contributing factors to the complexity of markets are geopolitics and intra-national political legislation which has the potential to massively disrupt, skew, create and destroy markets. With the swipe of a pen, governments can increase or decrease taxes on capital gains, promote or inhibit certain types of industrial activities, reward or punish market participants for taking risk or stock-piling gold. In a true democracy, there is no way to know what the government will do in the future and when they will do it. And since we are no longer isolated from the rest of the world, there is no way to know what actions other countries might take in the future and how those actions will impact local and global markets. The best one can do to manage this type of risk is to truly diversify one’s investments and keep abreast of geopolitical developments that are relevant for one’s investment strategy.
Point 3 – Markets are Not Perfectly Efficient and Cannot Be Perfectly Efficient
Markets are not perfectly efficient and cannot be perfectly efficient because markets are not static entities and the rules (laws) and incentives for market participants change over time. To compare the US stock market of the 1950's to the stock market of the 2010's would be a fool's errand since those two markets are almost nothing alike. The rules, stocks, indexes, trading technologies and legislation have massively evolved over the last 60 years and as a result, the markets have evolved into completely new entities. As an example, to carry out an analysis on the S&P 500 for a period longer than its constituent companies are part of the index is misguided since there is an assumed investment strategy already built into the analysis in the form of the way the S&P 500 is compiled.
What one CAN say is that some markets are more or less efficient than others. For example, the currency market is currently much more efficient than any other market in the world. And zooming in on specific currencies, one can say that the EUR/USD market is much more efficient than the USD/RUB market. The US real estate market is substantially less efficient than the US stock market, which is substantially less efficient than the US treasuries market. The difficulty comes in quantifying levels of efficiency and comparing markets to one another.
Gradation of relative market efficiency is important because it will determine the types of strategies that could be successful in each type of market. For example, the frictional costs involved in trading real estate are extremely high and offer opportunities for one to make substantial money from simply being the middleman (broker) in a transaction. In the used car sales market, one makes money from having asymmetrical information (inside information) because the dealers know much more about the inventory than the buyers.